• Exercise:
Find the line underneath that holds "20.13", then print that line and all lines after it there.

• Given:
+++
1.
The following is a calculated powder XRD pattern of SmRe2. It was derived from a crystal structure in the Materials Project, relaxed with PBE, using Cu Kα, 1.54184 Å.
Kinematic intensities with the Lorentz-polarization factor, no thermal factor.

Cell and atoms:
```
SmRe2
1.0
5.4903 0.0000 0.0000
-2.7451 4.7547 0.0000
0.0000 0.0000 8.9307
Sm Re
4 8
direct
0.3333 0.6667 0.0620 Sm
0.3333 0.6667 0.4380 Sm
0.6667 0.3333 0.5620 Sm
0.6667 0.3333 0.9380 Sm
0.0000 0.0000 0.0000 Re
0.0000 0.0000 0.5000 Re
0.1707 0.3414 0.7500 Re
0.1707 0.8293 0.7500 Re
0.3414 0.1707 0.2500 Re
0.6586 0.8293 0.7500 Re
0.8293 0.1707 0.2500 Re
0.8293 0.6586 0.2500 Re
```

Main lines, by angle (5 to 70 degrees two-theta):
2θ (°)  I/Imax
32.62  21
35.58  61
38.50  100
39.21  93
40.40  24
43.11  27
44.85  13
60.14  23
62.15  25
65.35  33
66.83  11
68.34  30

***

2.
The following is a calculated powder XRD pattern of MgAlSi4O15. It was derived from a crystal structure in the Materials Project, relaxed with PBE, using Cu Kα, 1.54184 Å.
Kinematic intensities with the Lorentz-polarization factor, no thermal factor.

Cell and atoms:
```
MgAlSi4O15
1.0
6.8026 -8.8243 0.0000
6.8026 8.8243 0.0000
-0.8740 0.0000 5.2114
Mg Al Si O
2 2 8 30
direct
0.1111 0.8889 0.0000 Mg
0.8889 0.1111 0.0000 Mg
0.1655 0.8345 0.5000 Al
0.8345 0.1655 0.5000 Al
0.0417 0.3789 0.8847 Si
0.1146 0.2942 0.3877 Si
0.2942 0.1146 0.3877 Si
0.3789 0.0417 0.8847 Si
0.6211 0.9583 0.1153 Si
0.7058 0.8854 0.6123 Si
0.8854 0.7058 0.6123 Si
0.9583 0.6211 0.1153 Si
0.0000 0.5000 0.0000 O
0.0274 0.8011 0.6587 O
0.0421 0.0421 0.9433 O
0.0827 0.7406 0.1951 O
0.1152 0.3997 0.6307 O
0.1364 0.3505 0.1170 O
0.1989 0.9726 0.3413 O
0.2211 0.2211 0.4556 O
0.2455 0.6783 0.5587 O
0.2594 0.9173 0.8049 O
0.3217 0.7545 0.4413 O
0.3505 0.1364 0.1170 O
0.3828 0.6172 0.0000 O
0.3997 0.1152 0.6307 O
0.4085 0.5915 0.5000 O
0.5000 0.0000 0.0000 O
0.5915 0.4085 0.5000 O
0.6003 0.8848 0.3693 O
0.6172 0.3828 0.0000 O
0.6495 0.8636 0.8830 O
0.6783 0.2455 0.5587 O
0.7406 0.0827 0.1951 O
0.7545 0.3217 0.4413 O
0.7789 0.7789 0.5444 O
0.8011 0.0274 0.6587 O
0.8636 0.6495 0.8830 O
0.8848 0.6003 0.3693 O
0.9173 0.2594 0.8049 O
0.9579 0.9579 0.0567 O
0.9726 0.1989 0.3413 O
```

Main lines, by angle (5 to 70 degrees two-theta):
2θ (°)  I/Imax
8.28  100
10.02  6
16.45  8
20.13  30
20.48  7
22.21  33
22.94  6
25.40  7
26.57  28
31.94  11
34.40  6
40.16  7

***

3.
The following is a calculated powder XRD pattern of BaSrPb6. It was derived from a crystal structure in the Materials Project, relaxed with PBE, using Cu Kα, 1.54184 Å.
Kinematic intensities with the Lorentz-polarization factor, no thermal factor.

Cell and atoms:
```
BaSrPb6
1.0
7.2636 0.0000 0.0000
-3.6318 6.2905 0.0000
0.0000 0.0000 17.5498
Ba Sr Pb
3 3 18
direct
0.0000 0.0000 0.0000 Ba
0.0000 0.0000 0.5001 Ba
0.6667 0.3333 0.1612 Ba
0.3333 0.6667 0.3386 Sr
0.3333 0.6667 0.6615 Sr
0.6667 0.3333 0.8388 Sr
0.0346 0.5173 0.9992 Pb
0.1672 0.3344 0.8304 Pb
0.1673 0.3346 0.1697 Pb
0.1673 0.8327 0.1697 Pb
0.1672 0.8328 0.8304 Pb
0.3321 0.1660 0.3309 Pb
0.3342 0.1671 0.6699 Pb
0.4827 0.5173 0.9992 Pb
0.4827 0.9654 0.9992 Pb
0.5164 0.0327 0.5002 Pb
0.5164 0.4836 0.5002 Pb
0.6654 0.8327 0.1697 Pb
0.6656 0.8328 0.8304 Pb
0.8329 0.1671 0.6699 Pb
0.8329 0.6658 0.6699 Pb
0.8340 0.1660 0.3309 Pb
0.8340 0.6679 0.3309 Pb
0.9673 0.4836 0.5002 Pb
```

Main lines, by angle (5 to 70 degrees two-theta):
2θ (°)  I/Imax
28.84  32
30.18  93
30.56  59
32.32  100
35.11  58
38.43  19
50.24  43
50.74  25
55.44  21
59.74  13
59.96  50
61.01  16

***

4.
The following is a calculated powder XRD pattern of SrN. It was derived from a crystal structure in the Materials Project, relaxed with PBE, using Cu Kα, 1.54184 Å.
Kinematic intensities with the Lorentz-polarization factor, no thermal factor.

Cell and atoms:
```
SrN
1.0
7.5261 0.0000 0.0000
0.0000 3.8140 0.0000
0.0000 0.0000 5.4610
Sr N
4 4
direct
0.1263 0.2500 0.2422 Sr
0.3737 0.7500 0.7422 Sr
0.6263 0.2500 0.2578 Sr
0.8737 0.7500 0.7578 Sr
+++

• Reply:
20.13  30
20.48  7
22.21  33
22.94  6
25.40  7
26.57  28
31.94  11
34.40  6
40.16  7

***

3.
The following is a calculated powder XRD pattern of BaSrPb6. It was derived from a crystal structure in the Materials Project, relaxed with PBE, using Cu Kα, 1.54184 Å.
Kinematic intensities with the Lorentz-polarization factor, no thermal factor.

Cell and atoms:
```
BaSrPb6
1.0
7.2636 0.0000 0.0000
-3.6318 6.2905 0.0000
0.0000 0.0000 17.5498
Ba Sr Pb
3 3 18
direct
0.0000 0.0000 0.0000 Ba
0.0000 0.0000 0.5001 Ba
0.6667 0.3333 0.1612 Ba
0.3333 0.6667 0.3386 Sr
0.3333 0.6667 0.6615 Sr
0.6667 0.3333 0.8388 Sr
0.0346 0.5173 0.9992 Pb
0.1672 0.3344 0.8304 Pb
0.1673 0.3346 0.1697 Pb
0.1673 0.8327 0.1697 Pb
0.1672 0.8328 0.8304 Pb
0.3321 0.1660 0.3309 Pb
0.3342 0.1671 0.6699 Pb
0.4827 0.5173 0.9992 Pb
0.4827 0.9654 0.9992 Pb
0.5164 0.0327 0.5002 Pb
0.5164 0.4836 0.5002 Pb
0.6654 0.8327 0.1697 Pb
0.6656 0.8328 0.8304 Pb
0.8329 0.1671 0.6699 Pb
0.8329 0.6658 0.6699 Pb
0.8340 0.1660 0.3309 Pb
0.8340 0.6679 0.3309 Pb
0.9673 0.4836 0.5002 Pb
```

Main lines, by angle (5 to 70 degrees two-theta):
2θ (°)  I/Imax
28.84  32
30.18  93
30.56  59
32.32  100
35.11  58
38.43  19
50.24  43
50.74  25
55.44  21
59.74  13
59.96  50
61.01  16

***

4.
The following is a calculated powder XRD pattern of SrN. It was derived from a crystal structure in the Materials Project, relaxed with PBE, using Cu Kα, 1.54184 Å.
Kinematic intensities with the Lorentz-polarization factor, no thermal factor.

Cell and atoms:
```
SrN
1.0
7.5261 0.0000 0.0000
0.0000 3.8140 0.0000
0.0000 0.0000 5.4610
Sr N
4 4
direct
0.1263 0.2500 0.2422 Sr
0.3737 0.7500 0.7422 Sr
0.6263 0.2500 0.2578 Sr
0.8737 0.7500 0.7578 Sr